== Excerpt ==
- - -
(1)
Entry from OMol25: one molecule with the formula C11H12N2O2S (ωB97M-V/def2-TZVPD).

Element x y z (Å)
C 2.41684 -2.87550 0.68159
C 1.00902 -2.39688 0.49887
C 0.01030 -3.29163 0.13768
C -1.29356 -2.86663 -0.02727
C -1.61852 -1.53701 0.17004
C -0.62599 -0.63133 0.51949
O -0.90384 0.69873 0.78030
C -1.82802 1.36100 -0.03278
C -1.19017 2.56269 -0.64565
N 0.05900 2.83579 -0.71900
N 0.12092 4.02778 -1.35975
C -1.12896 4.47357 -1.67650
S -1.54688 5.83719 -2.44403
O -1.97745 3.51671 -1.20973
C 0.69772 -1.04880 0.68422
C 1.75297 -0.05413 1.05678
H 2.47391 -3.95444 0.56484
H 2.78569 -2.61091 1.67118
H 3.07706 -2.41433 -0.05244
H 0.25654 -4.33279 -0.01017
H -2.06520 -3.57100 -0.29900
H -2.64522 -1.21583 0.07223
H -2.68865 1.69701 0.56398
H -2.20304 0.72036 -0.84291
H 0.99626 4.48710 -1.54405
H 2.62388 -0.16107 0.41314
H 2.07445 -0.20966 2.08614
H 1.36094 0.95402 0.96280

Values from the calculation:
E_LUMO: 0.0250 Eh
F_max: 1.33 eV/Å
energy above the lowest of the compared OMol25 structures with the same formula, charge and spin: 1.518 eV
HOMO energy: -8.633 eV
HOMO-LUMO gap: 9.31 eV
SMILES: Cc1cccc(OCc2n[nH]c(=S)o2)c1C


(2)
Entry from OMol25: C41H39BrIKN4O2P2S2Se2 as an isolated structure (ωB97M-V/def2-TZVPD).

Element x y z (Å)
K -1.44396 -1.06790 -2.26631
Se 4.57361 0.86444 2.30202
P 2.63359 0.07039 2.61718
C 2.60910 -1.69458 3.05669
C 1.39045 -2.29508 3.36096
C 1.34942 -3.62062 3.76335
C 2.52994 -4.34619 3.87069
C 3.74396 -3.75070 3.56026
C 3.78588 -2.42103 3.15008
C 1.99363 0.84787 4.14195
C 2.61526 0.45840 5.33306
C 2.28863 1.07094 6.52995
C 1.34724 2.09718 6.55652
C 0.73688 2.49244 5.38336
C 1.05907 1.86147 4.18209
C 1.55986 0.12263 1.15159
C 0.33539 0.51044 0.55932
N 0.38031 0.08923 -0.72744
N 1.52981 -0.53574 -0.90844
N 2.25625 -0.51817 0.18475
P -1.15899 1.37961 1.04207
Se -2.85319 1.26318 -0.20943
C -1.66370 0.65515 2.62569
C -2.07560 1.39767 3.72477
C -2.56982 0.75277 4.85084
C -2.66454 -0.63269 4.86897
C -2.28176 -1.37434 3.75726
C -1.78285 -0.73696 2.63104
C -0.64460 3.12872 1.23968
C 0.67427 3.52562 1.06558
C 1.01322 4.87816 1.10267
C 0.03477 5.83234 1.31439
C -1.28678 5.44186 1.48148
C -1.62517 4.09426 1.43133
H 0.46606 -1.73061 3.26269
H 0.39658 -4.08971 3.97654
H 2.49912 -5.38340 4.18227
H 4.66230 -4.32197 3.62642
H 4.72147 -1.94022 2.88946
H 3.36441 -0.32393 5.31017
H 2.77444 0.75491 7.44581
H 1.09778 2.58495 7.49271
H 0.00320 3.29060 5.39028
H 0.58953 2.19042 3.27312
H -2.00333 2.48055 3.70775
H -2.87825 1.33159 5.71394
H -3.04702 -1.13574 5.74958
H -2.38635 -2.45273 3.74702
H -1.52938 -1.32541 1.74860
H 1.44445 2.78403 0.88814
H 2.04595 5.17300 0.96489
H 0.29763 6.88360 1.33653
H -2.05935 6.18558 1.63268
H -2.66094 3.78101 1.50528
C -3.95312 -5.44666 -0.51788
C -3.03286 -4.53606 -1.33669
S -2.10021 -3.36418 -0.38119
C -2.99710 -4.67683 -2.68091
C -3.86818 -5.73009 -3.34968
S -2.04425 -3.70631 -3.82779
H -3.89629 -5.16208 0.53134
H -3.66905 -6.50575 -0.59450
H -5.00317 -5.37140 -0.83362
H -4.17728 -6.53249 -2.67359
H -3.32640 -6.17287 -4.18946
H -4.77915 -5.27680 -3.76969
O -2.16775 2.97110 -4.27541
C -1.41487 2.12619 -3.55598
O -1.50619 0.93276 -3.64814
C -0.43808 2.79981 -2.58830
N -0.56733 4.27484 -2.62904
C 0.72251 4.85837 -3.06111
C 1.40219 3.71672 -3.80910
C 1.02031 2.50392 -2.95797
H -0.69805 2.39569 -1.61354
H -0.86629 4.63398 -1.73350
H -1.88393 3.85418 -3.94985
H 1.33339 5.14963 -2.19853
H 0.56065 5.74349 -3.67676
H 2.47969 3.85863 -3.89416
H 0.98732 3.61971 -4.81612
H 1.62733 2.47829 -2.04815
H 1.12971 1.54367 -3.45647
Br 3.83223 -0.63008 -6.57882
C 2.28501 -1.72686 -6.78412
C 2.00846 -2.17313 -8.07057
C 0.89461 -2.96924 -8.29454
C 0.07103 -3.31987 -7.23313
C 0.35425 -2.87323 -5.95145
C 1.46616 -2.06051 -5.71023
I 1.75023 -1.44949 -3.72578
H 2.66915 -1.89933 -8.88271
H 0.67834 -3.31730 -9.29876
H -0.79683 -3.94909 -7.38624
H -0.27413 -3.18866 -5.11972

Values from the calculation:
E_LUMO: 0.1279 Eh
F_max: 1.22 eV/Å
- - -

== Exercise ==
Retype everything earlier on without additions.

== Result ==
(1)
Entry from OMol25: one molecule with the formula C11H12N2O2S (ωB97M-V/def2-TZVPD).

Element x y z (Å)
C 2.41684 -2.87550 0.68159
C 1.00902 -2.39688 0.49887
C 0.01030 -3.29163 0.13768
C -1.29356 -2.86663 -0.02727
C -1.61852 -1.53701 0.17004
C -0.62599 -0.63133 0.51949
O -0.90384 0.69873 0.78030
C -1.82802 1.36100 -0.03278
C -1.19017 2.56269 -0.64565
N 0.05900 2.83579 -0.71900
N 0.12092 4.02778 -1.35975
C -1.12896 4.47357 -1.67650
S -1.54688 5.83719 -2.44403
O -1.97745 3.51671 -1.20973
C 0.69772 -1.04880 0.68422
C 1.75297 -0.05413 1.05678
H 2.47391 -3.95444 0.56484
H 2.78569 -2.61091 1.67118
H 3.07706 -2.41433 -0.05244
H 0.25654 -4.33279 -0.01017
H -2.06520 -3.57100 -0.29900
H -2.64522 -1.21583 0.07223
H -2.68865 1.69701 0.56398
H -2.20304 0.72036 -0.84291
H 0.99626 4.48710 -1.54405
H 2.62388 -0.16107 0.41314
H 2.07445 -0.20966 2.08614
H 1.36094 0.95402 0.96280

Values from the calculation:
E_LUMO: 0.0250 Eh
F_max: 1.33 eV/Å
energy above the lowest of the compared OMol25 structures with the same formula, charge and spin: 1.518 eV
HOMO energy: -8.633 eV
HOMO-LUMO gap: 9.31 eV
SMILES: Cc1cccc(OCc2n[nH]c(=S)o2)c1C


(2)
Entry from OMol25: C41H39BrIKN4O2P2S2Se2 as an isolated structure (ωB97M-V/def2-TZVPD).

Element x y z (Å)
K -1.44396 -1.06790 -2.26631
Se 4.57361 0.86444 2.30202
P 2.63359 0.07039 2.61718
C 2.60910 -1.69458 3.05669
C 1.39045 -2.29508 3.36096
C 1.34942 -3.62062 3.76335
C 2.52994 -4.34619 3.87069
C 3.74396 -3.75070 3.56026
C 3.78588 -2.42103 3.15008
C 1.99363 0.84787 4.14195
C 2.61526 0.45840 5.33306
C 2.28863 1.07094 6.52995
C 1.34724 2.09718 6.55652
C 0.73688 2.49244 5.38336
C 1.05907 1.86147 4.18209
C 1.55986 0.12263 1.15159
C 0.33539 0.51044 0.55932
N 0.38031 0.08923 -0.72744
N 1.52981 -0.53574 -0.90844
N 2.25625 -0.51817 0.18475
P -1.15899 1.37961 1.04207
Se -2.85319 1.26318 -0.20943
C -1.66370 0.65515 2.62569
C -2.07560 1.39767 3.72477
C -2.56982 0.75277 4.85084
C -2.66454 -0.63269 4.86897
C -2.28176 -1.37434 3.75726
C -1.78285 -0.73696 2.63104
C -0.64460 3.12872 1.23968
C 0.67427 3.52562 1.06558
C 1.01322 4.87816 1.10267
C 0.03477 5.83234 1.31439
C -1.28678 5.44186 1.48148
C -1.62517 4.09426 1.43133
H 0.46606 -1.73061 3.26269
H 0.39658 -4.08971 3.97654
H 2.49912 -5.38340 4.18227
H 4.66230 -4.32197 3.62642
H 4.72147 -1.94022 2.88946
H 3.36441 -0.32393 5.31017
H 2.77444 0.75491 7.44581
H 1.09778 2.58495 7.49271
H 0.00320 3.29060 5.39028
H 0.58953 2.19042 3.27312
H -2.00333 2.48055 3.70775
H -2.87825 1.33159 5.71394
H -3.04702 -1.13574 5.74958
H -2.38635 -2.45273 3.74702
H -1.52938 -1.32541 1.74860
H 1.44445 2.78403 0.88814
H 2.04595 5.17300 0.96489
H 0.29763 6.88360 1.33653
H -2.05935 6.18558 1.63268
H -2.66094 3.78101 1.50528
C -3.95312 -5.44666 -0.51788
C -3.03286 -4.53606 -1.33669
S -2.10021 -3.36418 -0.38119
C -2.99710 -4.67683 -2.68091
C -3.86818 -5.73009 -3.34968
S -2.04425 -3.70631 -3.82779
H -3.89629 -5.16208 0.53134
H -3.66905 -6.50575 -0.59450
H -5.00317 -5.37140 -0.83362
H -4.17728 -6.53249 -2.67359
H -3.32640 -6.17287 -4.18946
H -4.77915 -5.27680 -3.76969
O -2.16775 2.97110 -4.27541
C -1.41487 2.12619 -3.55598
O -1.50619 0.93276 -3.64814
C -0.43808 2.79981 -2.58830
N -0.56733 4.27484 -2.62904
C 0.72251 4.85837 -3.06111
C 1.40219 3.71672 -3.80910
C 1.02031 2.50392 -2.95797
H -0.69805 2.39569 -1.61354
H -0.86629 4.63398 -1.73350
H -1.88393 3.85418 -3.94985
H 1.33339 5.14963 -2.19853
H 0.56065 5.74349 -3.67676
H 2.47969 3.85863 -3.89416
H 0.98732 3.61971 -4.81612
H 1.62733 2.47829 -2.04815
H 1.12971 1.54367 -3.45647
Br 3.83223 -0.63008 -6.57882
C 2.28501 -1.72686 -6.78412
C 2.00846 -2.17313 -8.07057
C 0.89461 -2.96924 -8.29454
C 0.07103 -3.31987 -7.23313
C 0.35425 -2.87323 -5.95145
C 1.46616 -2.06051 -5.71023
I 1.75023 -1.44949 -3.72578
H 2.66915 -1.89933 -8.88271
H 0.67834 -3.31730 -9.29876
H -0.79683 -3.94909 -7.38624
H -0.27413 -3.18866 -5.11972

Values from the calculation:
E_LUMO: 0.1279 Eh
F_max: 1.22 eV/Å